Page 49 of Fated Mates

I numbly lifted the gun, and Bryant grabbed it from my hand and set it on the mantle. Then he shut and barred the door, mumbling blackly. That’s when I noticed him wince and grip his side.

“You’re hurt!” I gasped, rushing over to him.

The page is interrupted by records of crystals:
/*
Below is a relaxed MnSiSb2 crystal, with properties calculated at the PBE-GGA level.

Cell lengths 3.8498, 5.2749, 8.3744 Å; angles 90.00, 90.00, 90.00 degrees
Last column: nearest neighbours and their distance in Å.
Positions (direct):
Mn 0.0000 0.0000 0.0000  4 Sb 2.91
Mn 0.5000 0.5000 0.5000  4 Sb 2.91
Si 0.0000 0.0000 0.5000  4 Sb 2.78
Si 0.5000 0.5000 0.0000  4 Sb 2.78
Sb 0.0000 0.5000 0.2398  2 Si 2.78, 2 Mn 2.91
Sb 0.0000 0.5000 0.7602  2 Si 2.78, 2 Mn 2.91
Sb 0.5000 0.0000 0.2602  2 Si 2.78, 2 Mn 2.91
Sb 0.5000 0.0000 0.7398  2 Si 2.78, 2 Mn 2.91

Magnetic moment: 3.6 μB/f.u.
Density of states at the Fermi level: 4.2 states/eV per cell
Crystal system: orthorhombic
Formation energy (no corrections): 0.4562 eV per atom

Below is a relaxed LaSb3 crystal, with properties calculated at the PBE-GGA level.

Cell lengths 6.7038, 6.7038, 5.9050 Å; angles 90.00, 90.00, 120.00 degrees
Last column: nearest neighbours and their distance in Å.
Positions (direct):
La 0.3333 0.6667 0.2500  12 Sb 3.35-3.48
La 0.6667 0.3333 0.7500  12 Sb 3.35-3.48
Sb 0.1741 0.3481 0.7500  8 Sb 3.20-3.58, 4 La 3.35-3.48
Sb 0.1741 0.8259 0.7500  8 Sb 3.20-3.58, 4 La 3.35-3.48
Sb 0.3481 0.1741 0.2500  8 Sb 3.20-3.58, 4 La 3.35-3.48
Sb 0.6519 0.8259 0.7500  8 Sb 3.20-3.58, 4 La 3.35-3.48
Sb 0.8259 0.1741 0.2500  8 Sb 3.20-3.58, 4 La 3.35-3.48
Sb 0.8259 0.6519 0.2500  8 Sb 3.20-3.58, 4 La 3.35-3.48

Magnetic moment: 0.0 μB/f.u.
Density of states at the Fermi level: 3.9 states/eV per cell
Crystal system: hexagonal
Formation energy (no corrections): -0.5692 eV per atom

Below is a relaxed BaBeTl2 crystal, with properties calculated at the PBE-GGA level.

Cell lengths 3.8239, 3.8239, 7.8863 Å; angles 90.00, 90.00, 90.00 degrees
Last column: nearest neighbours and their distance in Å.
Positions (direct):
Ba 0.0000 0.0000 0.0000  5 Tl 3.42-3.69, 4 Be 3.68, 4 Ba 3.82
Be 0.5000 0.5000 0.3167  5 Tl 2.86-2.88
Tl 0.0000 0.0000 0.4336  4 Be 2.86
Tl 0.5000 0.5000 0.6816  1 Be 2.88

Formation energy from the elements: 0.213 eV per atom
Magnetic moment: 0.0 μB/f.u.
Density of states at the Fermi level: 1.1 states/eV per cell
Crystal system: tetragonal

Below is a relaxed AgAs3Rh crystal, with properties calculated at the PBE-GGA level.

Cell lengths 4.8282, 4.8282, 4.8282 Å; angles 90.00, 90.00, 90.00 degrees
Last column: nearest neighbours and their distance in Å.
Positions (direct):
Ag 0.0000 0.0000 0.0000  12 As 3.41
As 0.0000 0.5000 0.5000  2 Rh 2.41
As 0.5000 0.0000 0.5000  2 Rh 2.41
As 0.5000 0.5000 0.0000  2 Rh 2.41
Rh 0.5000 0.5000 0.5000  6 As 2.41

Formation energy from the elements: 0.518 eV per atom
Magnetic moment: 0.0 μB/f.u.
Density of states at the Fermi level: 4.8 states/eV per cell
Crystal system: cubic

* * * * *

--- P ---
Here is a geometry-optimized EuGdRu structure from Alexandria. Energies are from PBE.
*/

He shook his head. “It’s nothing. Caught myself on a branch when I heard the gunshot and came running for you. You’re all right then?”

“I’m fine. Let me look at you.”

I lifted the edge of his shirt and saw the ugly scratch, confirming his story. It didn’t look to be bleeding freely though. No, it wasn’t bad.

“I’ll all right, stop your fussing. So what happened, Callista?”

My eyes raised to his. “I-I heard something, and I was worried for you.”

“For me?” He eyed me with irritation. “No need. Not ever. Don’t do that again.”

I swallowed hard, adding, “There was something out there tonight. I-I shot it. A wolf, I think. He’s hurt, I think.”

“Well, if you did, then he’s run home, I’m certain. Get to bed now.”

“No! Bryant, don’t...”

He understood. “Go on. I’ll make a pallet for myself by the door. I’ll make sure nothing gets to you tonight.”




“It was around here where I shot him,” I said to Bryant the next morning.

## Here the piece breaks off for data records
+++
[1]
Density functional theory data (PBE-GGA) for crystalline LiIn3Ga at its relaxed geometry.

Computed properties:
magnetization	0.00	μB/f.u.
total DFT energy (no corrections)	-53.6	eV per cell
E_form	-0.0512	eV/atom
calculated volume	23.629	Å³ per atom

abc: 6.967 6.249 10.854
angles: 90.00 90.00 90.00
Space group Pnma (No. 62)
Symmetry-distinct sites (fractional):
1 Li 0.179 0.250 0.075 [4 per cell]
2 In 0.164 0.750 0.085 [4 per cell]
3 In 0.191 0.508 0.811 [8 per cell]
4 Ga 0.000 0.000 0.500 [4 per cell]



[2]
Density functional theory data (PBE-GGA) for crystalline Li2In2Ga at its relaxed geometry.

Computed properties:
magnetization	0.00	μB/f.u.
total DFT energy (no corrections)	-26.7	eV per cell
E_form	-0.2018	eV/atom
calculated volume	20.019	Å³ per atom

abc: 9.560 4.228 6.807
angles: 90.00 133.31 90.00
Space group C2/m (No. 12)
Symmetry-distinct sites (fractional):
1 Li 0.213 0.000 0.316 [4 per cell]
2 In 0.089 0.500 0.885 [4 per cell]
3 Ga 0.000 0.000 0.500 [2 per cell]



[3]
Density functional theory data (PBE-GGA) for crystalline Li2MgIn5Ga at its relaxed geometry.

Computed properties:
magnetization	0.00	μB/f.u.
total DFT energy (no corrections)	-89.9	eV per cell
E_form	-0.0375	eV/atom
calculated volume	22.908	Å³ per atom

abc: 6.847 6.847 17.593
angles: 90.00 90.00 90.00
Space group I4/mcm (No. 140)
Symmetry-distinct sites (fractional):
1 Li 0.130 0.370 0.000 [8 per cell]
2 Mg 0.000 0.000 0.250 [4 per cell]
3 In 0.000 0.000 0.000 [4 per cell]
4 In 0.197 0.303 0.370 [16 per cell]
5 Ga 0.000 0.500 0.250 [4 per cell]



[4]
Density functional theory data (PBE-GGA) for crystalline LiMgInGa at its relaxed geometry.

Computed properties:
magnetization	0.00	μB/f.u.
total DFT energy (no corrections)	-10.0	eV per cell
E_form	-0.1939	eV/atom
calculated volume	19.721	Å³ per atom

abc: 4.197 4.286 4.385
angles: 90.00 90.00 90.00
Space group Pmmm (No. 47)
Symmetry-distinct sites (fractional):
1 Li 0.000 0.000 0.000 [1 per cell]
2 Mg 0.500 0.000 0.500 [1 per cell]
3 In 0.500 0.500 0.000 [1 per cell]
4 Ga 0.000 0.500 0.500 [1 per cell]



[5]
Density functional theory data (PBE-GGA) for crystalline Li5Mg2InGa2 at its relaxed geometry.

Computed properties:
magnetization	0.00	μB/f.u.
total DFT energy (no corrections)	-46.6	eV per cell
E_form	-0.1748	eV/atom
calculated volume	19.061	Å³ per atom

abc: 9.214 9.214 4.490
angles: 90.00 90.00 90.00
Space group P4/mbm (No. 127)
Symmetry-distinct sites (fractional):
1 Li 0.000 0.500 0.000 [2 per cell]
2 Li 0.068 0.209 0.000 [8 per cell]
3 Mg 0.184 0.684 0.500 [4 per cell]
4 In 0.000 0.000 0.500 [2 per cell]
5 Ga 0.110 0.390 0.500 [4 per cell]



[6]
Density functional theory data (PBE-GGA) for crystalline Li2MgInGa at its relaxed geometry.

Computed properties:
magnetization	0.00	μB/f.u.
total DFT energy (no corrections)	-9.8	eV per cell
E_form	0.2784	eV/atom
calculated volume	28.179	Å³ per atom

abc: 5.152 5.152 5.309
angles: 90.00 90.00 90.00
Space group P4/mmm (No. 123)
+++

Bryant checked around the clearing with shaking head. “I don’t see any blood or tracks. Definitely no dead carcass. Are you certain it was even a wolf you shot at?”

I hooded my eyes at him, replying, “I know a dog whine when I hear one. Yes, it was a wolf. A silver one. I found some of its fur, but I had dropped it when I ran for the cabin.”

“Well, if it was, you didn’t kill the beast. Maybe kinked it at bit. Either way, it’s long gone now.”

“No doubt, waiting to return and make a snack of me at the next opportunity,” I added.

“Well, to be fair you’re in his territory, not the other way around.”

“You want me to make nice with the wolf?” I remarked. “Offer him a Scooby Snack?”

“A what?”

“Never mind,” I said with a frustrated wave. “Are we done here?”

“We are. Let’s go back to your cave, and see what’s to do there,” Bryant said.

“You’re sure the Arcan Hunters aren’t still lurking around?” I asked, nervously scanning the forest.

“Not entirely, so keep close and keep quiet,” he said.

After much debate last night, I knew it was important for Bryant’s own peace of mind that he see my cave with its ancient glyphs for himself. He claimed not to doubt my word (too much) on being a time traveler or wonder if I was an Arcan plant like Alice suggested, but I knew a part of him still questioned it.

Besides, I needed to see the cave for myself, touch it, make sure that it was real, and that I wasn’t just stuck in some unending nightmare.

We reached the hill that housed the cave tunnels, and I guided Bryant towards the partially hidden entrance. Bryant held back the bush branches, covering it, but I stood there staring at the craggy black hole as if it were a gaping lion’s mouth ready to devour me.